Advice booking holidays online

Web site is There is an other english site called where you get loads prices from different companies to compare. Good luck

Data records from another source follow >
'''
# 1
Molecular formula: C28H62BNO16P4
Method: DFT, ωB97M-V/def2-TZVPD

```
112
Properties=species:S:1:pos:R:3:lowdin_charge:R:1
C -3.12363 -0.13750 2.03883 -0.05
O -2.33541 -0.98363 1.19226 0.01
B -2.87511 -1.22853 -0.03250 -0.76
O -3.03356 -2.52562 -0.42285 0.13
P -3.40423 0.20901 -1.27447 0.92
C -5.23232 -0.46054 -1.32707 -0.32
C -6.27780 0.60491 -1.54475 -0.27
O -6.37609 1.44685 -0.38359 -0.03
C -7.42079 2.30388 -0.40962 -0.55
C -7.70522 3.12343 -1.65362 0.01
O -8.09808 2.45914 0.55179 0.13
C -1.63755 0.97390 -1.14555 -0.43
C -1.49185 2.32739 -0.89500 -0.09
C -0.21564 2.87560 -0.75534 -0.06
C 0.83390 1.96863 -0.88330 -0.07
C 0.54435 0.64796 -1.16666 -0.16
N -0.65116 0.07878 -1.31336 0.08
H -3.34666 0.83178 1.57988 0.08
H -4.06272 -0.63238 2.28493 0.10
H -2.53235 0.05857 2.92891 0.09
H -2.93997 -2.61605 -1.37706 0.11
H -3.95364 1.46916 -0.87218 0.03
H -3.23307 -0.00273 -2.66714 0.04
H -5.41310 -0.92271 -0.34890 0.08
H -5.30865 -1.27085 -2.05678 0.08
H -7.24674 0.10422 -1.66002 0.13
H -6.11859 1.14885 -2.48054 0.11
H -7.76059 4.16161 -1.33661 0.09
H -6.89277 3.06242 -2.37460 0.07
H -8.64372 2.81500 -2.10479 0.09
H -2.37066 2.95653 -0.80596 0.09
H -0.01612 3.91797 -0.54800 0.10
H 1.85852 2.28892 -0.76270 0.09
H 1.39584 -0.01898 -1.29188 0.10
C 8.13091 3.35828 1.70711 -0.07
C 6.79817 3.06101 1.04335 -0.28
O 6.43925 1.68066 1.15865 -0.19
P 5.87012 1.13077 2.57055 0.51
O 4.57457 1.80603 2.80416 -0.22
O 5.42500 -0.36802 2.11610 -0.21
C 4.09724 -0.85045 2.32377 -0.29
C 3.30002 -0.70836 1.04813 -0.08
O 7.29537 0.56804 3.13493 -0.19
C 7.52451 0.60854 4.56146 -0.27
C 6.58444 -0.31595 5.31064 -0.08
H 8.06337 3.24660 2.79276 0.06
H 8.44667 4.37955 1.49176 0.08
H 8.89688 2.66675 1.35751 0.08
H 6.00691 3.68894 1.46280 0.10
H 6.85885 3.27581 -0.02330 0.12
H 3.61118 -0.33798 3.15362 0.10
H 4.17879 -1.90350 2.60109 0.12
H 3.26786 0.33105 0.71932 0.07
H 2.27668 -1.06246 1.18684 0.08
H 3.76378 -1.28313 0.24477 0.08
H 7.42119 1.63654 4.91935 0.11
H 8.55811 0.30672 4.72070 0.12
H 5.54690 0.02005 5.22268 0.07
H 6.84069 -0.34675 6.36971 0.08
H 6.63408 -1.32462 4.90170 0.09
C 6.37628 6.83060 -6.22540 -0.08
C 6.53267 6.94704 -4.71934 -0.28
O 5.30574 6.69063 -4.03271 -0.19
P 4.80547 5.15917 -3.87611 0.51
O 5.79162 4.47025 -3.01569 -0.22
O 3.53958 5.37991 -2.87621 -0.20
C 3.43432 4.67025 -1.64433 -0.30
C 3.89202 5.53676 -0.49025 -0.07
O 3.81416 5.16018 -5.17197 -0.19
C 3.65266 3.92179 -5.90188 -0.26
C 2.96305 2.86062 -5.06573 -0.08
H 6.18015 5.79677 -6.52124 0.06
H 7.28401 7.16008 -6.73199 0.08
H 5.53617 7.43151 -6.57209 0.08
H 7.31209 6.27118 -4.35637 0.11
H 6.82702 7.96203 -4.45534 0.12
H 3.98758 3.73135 -1.68299 0.10
H 2.37999 4.41768 -1.51309 0.09
H 4.92325 5.86271 -0.63001 0.08
H 3.82018 4.99444 0.45475 0.07
H 3.27704 6.43549 -0.42650 0.08
H 4.62930 3.56914 -6.24430 0.11
H 3.05864 4.15398 -6.78388 0.12
H 3.58431 2.56154 -4.21593 0.07
H 2.76063 1.97259 -5.66448 0.08
H 2.02466 3.24063 -4.66260 0.09
C -7.84836 -9.14122 0.41091 -0.08
C -6.88888 -8.12666 -0.18662 -0.28
'''
Here the piece continues >

Ryanair must be losing out to Aer Lingus on this one. I would imagine that most people who flew with Ryanair at the drop of a hat and had several holidays a year have made cutbacks for various reasons.
They are probably concentrating on one or two holidays now and will probably upgrade their accommodation etc accordingly. Hotels are offering good deals so I would imagine that they will try to match their hotel and flight rather than lose out. As a result I think that Aer Lingus will take some business from Ryanair now unless Ryanair introduce some special offers for the summer months.
I am gobsmacked at some of the prices of Aer Lingus to many hot-spots in peak season. Never seen them so low.

However, the fact is that almost nobody is booking them or anything else for next year. Irish airlines and tour operators have never ever had such a low percent of forward bookings.
Will this mean bargains later on ?
No idea -more likely the capacity on both the two Irish airlines and the tour operators will be slashed (actually the three main tour operators have already cut capacity by 50%). And there's no way both airlines will actually run the all the flights displayed.
Old nick - i meant to direct my query to you. As a travel agent can you come up with a better price for a family of 5 than the one I quoted above.

Well booked 8 days in Salou for family of 5 All inclusive in Salou in the first week of August.
Flights worked out at €735 and accommodation €1340. Transfers will cost about €100 so i will have all for €2,175 which isnt bad for peak time and all-inclusive staying in the Cye Holiday Aparthotel.
Is OteL.COM a legitimate site? Same question re Sister has booked on it last night but is panicking now. Slim
The Irish Times do a travel supplement on Saturdays. For the first few months they did a weekly comparison between a holiday booked as a package or booking it yourself (I think it was Conor Pope who did it). They featured lots of different types of holidays - Short City breaks / family sun holidays / cheap and cheerful / luxury etc etc. Sometimes DIY was cheaper, sometimes it wasn't. Also - the cheaper option sometimes was unsatisfactory for one reason or another - such as indirect flights, or flight schedule issues. Sometimes the price difference was tiny, sometimes it was huge.

Here the piece breaks off for records of molecules >
1.
81
Properties=species:S:1:pos:R:3:forces:R:3 method="wB97M-V/def2-TZVPD" multiplicity=2 e_lumo_ev="-3.37 / -4.89" s_squared=1.235 total_charge=+1 homo_lumo_gap_ev="7.409 / 6.417"
V -0.066 -0.153 0.665 -0.896 -0.119 -0.103
C 5.497 -4.536 3.586 -0.016 -0.001 -0.005
C 5.262 -3.056 3.283 0.034 0.011 0.024
C 6.373 -2.576 2.338 -0.002 0.000 -0.003
C 5.341 -2.273 4.602 0.011 -0.003 0.005
C 3.901 -2.805 2.634 0.074 0.216 -0.005
C 3.561 -1.501 2.282 0.254 -0.206 0.114
C 2.330 -1.260 1.693 -0.121 0.313 -0.026
N 1.743 -0.056 1.292 1.259 0.156 0.227
C 2.355 1.194 1.207 -0.183 -0.351 0.024
C 3.696 1.560 1.329 0.169 0.130 0.032
C 4.034 2.898 1.238 0.095 -0.128 0.047
C 3.022 3.846 1.016 -0.027 0.013 -0.012
C 1.682 3.531 0.840 -0.048 -0.042 0.024
C 1.393 2.171 0.924 -0.545 -0.150 -0.088
O 0.160 1.607 0.729 0.274 0.759 -0.048
C 0.601 4.580 0.586 0.020 0.016 -0.019
C -0.087 4.309 -0.760 -0.006 0.001 -0.016
C 1.189 5.991 0.538 0.008 -0.009 0.017
C -0.433 4.529 1.720 -0.012 -0.009 0.017
C 5.477 3.380 1.381 0.027 -0.022 0.004
C 5.568 4.343 2.574 -0.006 -0.002 -0.003
C 6.448 2.224 1.622 -0.004 -0.003 0.005
C 5.902 4.109 0.099 -0.015 0.002 -0.009
C 1.428 -2.315 1.512 -0.376 -0.058 -0.126
O 0.239 -1.863 0.997 0.167 -0.623 0.142
C 1.719 -3.630 1.844 -0.026 0.046 -0.016
C 2.986 -3.830 2.397 -0.101 -0.046 -0.052
C 0.718 -4.767 1.641 -0.008 0.027 -0.027
C 0.346 -4.861 0.154 -0.005 0.006 0.000
C 1.296 -6.116 2.069 -0.005 -0.007 0.007
C -0.540 -4.500 2.479 -0.011 -0.004 0.005
H 6.481 -4.659 4.040 -0.001 0.004 -0.001
H 5.473 -5.144 2.681 0.001 -0.003 0.000
H 4.760 -4.927 4.290 0.004 -0.004 0.001
H 7.350 -2.754 2.789 -0.004 -0.002 0.002
H 6.297 -1.507 2.129 -0.003 0.001 0.000
H 6.335 -3.110 1.387 -0.001 0.000 0.000
H 6.308 -2.444 5.079 -0.004 -0.001 -0.001
H 4.558 -2.592 5.292 -0.001 -0.001 0.000
H 5.235 -1.198 4.445 0.000 -0.001 -0.002
H 4.245 -0.702 2.508 -0.018 0.020 0.006
H 4.462 0.817 1.457 0.013 0.001 -0.008
H 3.311 4.885 0.965 0.000 0.006 -0.009
H 0.645 4.298 -1.572 -0.008 -0.001 -0.005
H -0.807 5.101 -0.970 0.002 -0.001 0.001
H -0.629 3.364 -0.753 0.010 -0.014 0.001
H 1.916 6.103 -0.270 -0.001 0.001 -0.008
H 1.669 6.263 1.479 0.001 0.001 0.003
H 0.386 6.706 0.361 -0.003 -0.008 -0.001
H -0.919 3.556 1.784 0.008 0.004 -0.007
H -1.204 5.281 1.549 0.000 -0.001 0.003
H 0.040 4.741 2.680 -0.005 0.003 0.006
H 5.268 3.847 3.499 0.001 0.000 0.002
H 4.934 5.219 2.440 0.003 0.003 0.000
H 6.595 4.692 2.692 -0.005 -0.001 -0.002
H 6.217 1.687 2.545 0.001 0.000 0.002
H 7.461 2.618 1.719 -0.003 0.000 0.000
H 6.451 1.514 0.793 -0.001 0.003 -0.004
H 5.275 4.979 -0.101 -0.001 0.004 -0.004
H 5.845 3.444 -0.765 -0.001 0.000 0.001
H 6.932 4.457 0.192 -0.002 0.000 0.004
H 3.258 -4.836 2.672 0.025 0.004 0.011
H 1.231 -5.057 -0.455 0.000 -0.002 -0.004
H -0.119 -3.941 -0.195 -0.001 -0.006 0.003
H -0.360 -5.678 -0.003 0.008 -0.001 0.009
H 2.186 -6.382 1.496 0.006 0.005 -0.007
H 0.549 -6.892 1.896 0.006 0.004 0.005
H 1.547 -6.132 3.131 -0.001 -0.005 0.005
Back to the piece >

Even if you choose to book with a travel agent or Tour Operator, it is worth doing a bit of research first to ensure you are happy with the price, and that it's not excessive compared to booking yourself. I have booked with Travel Agents and Tour Operators a good few times because it was cheaper then doing it myself (Florida, France, St. Lucia).
Ref my original post i did not go abroad last year. My question now is the travel agent quoted me a price for arranging air travel and accommodation which comes out much less than the price of a package holiday. I know the accommodation and that i will have to pay for the transfer from the airport...what are the advantages of going along with the travel agent or booking the flight/accommodation myself.
Dewdrop - you say that the travel agent can do this for the same price as doing it yourself and you ask why book with the travel agent.

This shows how badly we in the travel trade have told people that every penny spent with a travel agent on travel ex-Ireland is protected. For example, if the hotel goes bust ,or an overseas online provider goes bust then you may have a long wait getting your money back.

-If you have a complaint with the accommodation, with the airline , coach company whatever -then you can direct that complaint thru the local travel agent. Doesn't always work but it's better than trying to get compensation from an overseas hotel ( o.k. in your particular case you know the hotel, so a complaint may not arise )

- although not obligated, the travel agent usually helps in case you have an emergency. You've lost all your money, got arrested, shot etc !
Good agents can make phone calls and push things on your behalf inc.arranging money, alternative flights back etc

- if it is not dearer or more trouiblesome to book with the travel agent why not give them the business? It's a local shop employing presumedly a few people.

-some agents are rubbish but most surviving today do care about getting repeat business and if it costs nothing extra then do book with them

-Oldnick -retiring travel agent.
Thanks Old Nic. I do not know how much it would cost to do it myself as i am not very good at this! My query was whether the price quoted by the travel agent (about 400 euro less than the packaged price) for arranging the flight/accommodation would be much the same as if i got someone to do it for me. Really just curious. The travel agent seemed to contact another party to get the price rather than source it himself.
dewdrop. Why not give us the dates and location on this thread and see if any of us can do it any cheaper?
dewdrop- yes i did misread you-I thought you got a matching price. apologies

sorryslump- excellent idea.
two weeks in Rosamer Apts. Lanzorate. fly from cork sat 6th nov and return to corksat 2oth..2 adults self catering. Paackaged holiday was 1838 euro..flight and accomm arranged by travel agent was 1402. I am not really penny pinching but just interested..thanks.